Part of How we work

How the Alberta government works

Alberta government mandate and laws, key positions within government and how it is structured.


In the Province of Alberta the Lieutenant Governor represents the monarch, the King of Canada, in the Crown's role as head of state. Lieutenant Governors are appointed by the Governor General on the advice of the Prime Minister of Canada.

Based on provincial population statistics, Alberta is divided into 87 regions which are known as constituencies. During a provincial election (held by law every 4 years), the candidate in each constituency who wins the highest number of votes becomes the constituency representative as Member of the Legislative Assembly (MLA). The leader of the political party with the most winning candidates becomes the Premier of Alberta. The premier, as head of the elected government, governs the province on a daily basis in the monarch’s name.

Legislative assembly

All provincial governments in Canada are unicameral, meaning that there is only one body of elected representatives. (Federal or municipal governments are separate). In Alberta, this body is called the Legislative assembly where elected representatives from the 87 constituencies meet to determine and debate government priorities.

The Speech from the Throne opens each new session of the Legislative assembly and outlines the broad goals and direction for the elected government.

Members meet for a new legislative session of the assembly each spring and may continue into the fall to introduce the provincial budget and, if desired, pass new laws or update, amend or repeal existing ones.

The provinces’ areas of responsibility, as defined in the Constitution Act, 1867 (earlier referred to as the British North America Act, 1867), include health, child welfare, municipal government, transportation, labour, property and civil rights and education.

A law can also be called an Act or a Statute. Laws are introduced as bills which have 3 main types:

  • Government-sponsored public policy Bills
  • Private Members’ public non-monetary policy Bills
  • Private Bills relating to specific matters not of general public concern

Legislative process

Members introduce Bills in the assembly for ‘1st reading’ termed as such from earlier days of the British Parliament when printing was not commonplace. At that time, the entire Bill was read aloud in the House to inform members of its contents.

Today, the Clerk reads only the Bill title aloud, and 1st reading means that the Bill is formally introduced into the assembly process for further scrutiny. A Bill must receive 3 separate readings on different days before being passed.

After 1st reading, members study the proposed contents of the Bill and decide whether to support all of it, some parts of it or oppose it altogether when 2nd reading begins.

The 2nd reading stage is where members debate the principle and purpose of a Bill.

Debate of Bills is sometimes emotional and has to be moderated. This is the Speaker’s duty. The Speaker keeps the debate running as smoothly as possible while giving all members a fair chance to speak before calling for a vote. Voting is by simple majority.

If passed by a majority of voting members, the Bill is sent to Committee of the Whole, which consists of all MLAs, as the next stage. At committee, a more detailed Bill discussion, clause by clause if necessary, is heard. Amendments may come about here as a result of points raised in debate or concerns expressed by constituents.

The final stage of a Bill’s journey is 3rd reading. Again members have a chance to comment on, criticize or ask questions about the Bill before voting on it for the final time.

If a Bill fails to pass any one of these 3 stages, it cannot become law and must be reintroduced, usually not until the next session of the Legislature.

Most government-sponsored Bills pass because the governing party normally has a majority of the members in support. Because they do not enjoy the same degree of backing, most private Members’ Bills do not get past 2nd reading. However, sometimes even government Bills do not reach the final stages. This may be an indication the government did not intend the Bill to pass but was instead trying to gauge public opinion on the issue the Bill addresses. In that case, the Bill may be amended and introduced in a later session or dropped altogether and rewritten. In other instances public opposition to the Bill may cause the government to withdraw it.

If the Bill is supported by a majority of MLAs, it moves to the next stage, which is Royal Assent.

• Attached: data records:
____________
Diffraction record for NaCrAgF6. The powder diffractogram is simulated, not measured: it uses a GGA+U-relaxed structure and CuKα.

Peak list (8 most intense, 2θ = 5–70°, in order of rising 2θ)
- d 4.815, 2θ 18.43, I = 195, hkl 1 0 0
- d 3.327, 2θ 26.80, I = 1000, hkl 1 0 2
- d 2.780, 2θ 32.20, I = 247, hkl 1 1 0
- d 2.380, 2θ 37.81, I = 172, hkl 2 -1 2
- d 2.133, 2θ 42.37, I = 272, hkl 2 0 2
- d 1.773, 2θ 51.56, I = 371, hkl 1 1 4
- d 1.692, 2θ 54.20, I = 258, hkl 2 1 2
- d 1.605, 2θ 57.41, I = 167, hkl 3 0 0

Structure:
Lattice parameters (Å, degrees): 5.560 5.560 9.203 90.00 90.00 120.00
Atoms (fractional coordinates):
Na (0.333, 0.667, 0.250)
Na (0.667, 0.333, 0.750)
Cr (0.333, 0.667, 0.750)
Cr (0.667, 0.333, 0.250)
Ag (0.000, 0.000, 0.000)
Ag (0.000, 0.000, 0.500)
F (0.047, 0.380, 0.633)
F (0.047, 0.668, 0.867)
F (0.332, 0.380, 0.867)
F (0.332, 0.953, 0.633)
F (0.380, 0.047, 0.133)
F (0.380, 0.332, 0.367)
F (0.620, 0.668, 0.633)
F (0.620, 0.953, 0.867)
F (0.668, 0.047, 0.367)
F (0.668, 0.620, 0.133)
F (0.953, 0.332, 0.133)
F (0.953, 0.620, 0.367)

~~~~~

The following is a theoretical X-ray diffraction stick pattern of Pu2TlAgS4. It was derived from the GGA-PBE geometry in Alexandria, using Cu Ka.
Peak positions follow from Bragg's law for the DFT cell and can differ from measured ones.

Main lines, by angle (10 to 90 degrees two-theta):
2theta  I/Imax
22.8  100
25.9  80
26.4  51
30.2  53
32.1  96
39.0  36
43.5  35
44.5  64

Structure:
```
Pu2TlAgS4
1.0
2.048 -6.751 0.000
2.048 6.751 0.000
0.000 0.000 14.291
Pu Tl Ag S
4 2 2 8
direct
0.131 0.869 0.563
0.131 0.869 0.937
0.869 0.131 0.063
0.869 0.131 0.437
0.389 0.611 0.750
0.611 0.389 0.250
0.330 0.670 0.250
0.670 0.330 0.750
0.060 0.940 0.750
0.238 0.762 0.099
0.238 0.762 0.401
0.500 0.500 0.000
0.500 0.500 0.500
0.762 0.238 0.599
0.762 0.238 0.901
0.940 0.060 0.250
```

~~~~~

# 1
Starting from a DFT-relaxed cell (PBE, Alexandria), the powder X-ray diffraction pattern of Zn was calculated for copper Kα.
Peak positions follow from Bragg's law for the DFT cell and can differ from measured ones.

Atomic structure:
Cell lengths 6.3553, 6.3553, 6.3553 Å; angles 137.62, 134.40, 64.00 degrees
Sites, in units of the cell vectors:
Zn 0.1711 0.8429 0.7650
Zn 0.2500 0.4549 0.2049
Zn 0.3289 0.0939 0.6718
Zn 0.5660 0.7500 0.3160
Zn 0.5780 0.4061 0.7350
Zn 0.7500 0.0451 0.2951
Zn 0.9220 0.6571 0.8282
Zn 0.9340 0.2500 0.1840

Peak list (10 most intense, 15 to 90 degrees two-theta, low angle first)
| two_theta | d (Å) | I_rel |
| --- | --- | --- |
| 36.48 | 2.463 | 31.9 |
| 39.21 | 2.297 | 31.7 |
| 42.48 | 2.128 | 16.7 |
| 43.03 | 2.102 | 100.0 |
| 44.31 | 2.044 | 7.3 |
| 54.63 | 1.680 | 15.8 |
| 70.18 | 1.341 | 9.7 |
| 73.70 | 1.285 | 13.0 |
| 81.40 | 1.182 | 10.6 |
| 83.11 | 1.162 | 6.3 |



# 2
Starting from a DFT-relaxed cell (PBE, Alexandria), the powder X-ray diffraction pattern of Pm4AuN2 was calculated for copper Kα.
____________

Royal Assent is provided by the Lieutenant Governor of Alberta who approves the bill on behalf of the Crown. After Royal Assent the bill becomes law.

The final step is to set the date it comes into effect or into force. The Lieutenant Governor or the government sets the starting date for the law to come into force, this is called proclamation. Proclamations may be used if a bill is to come into effect at a date after Royal Assent or if different parts of a Bill are to come into effect at different times.

See the Legislative Assembly dashboard to track the progress of bills. 

(Crystal structures that have nothing to do with the entry)
........
# 1
Simulated X-ray powder pattern
Compound: FeAu3
Radiation: Cu Kα
Structure: DFT lattice parameters and positions (GGA-PBE)
Intensities are scaled so that the largest is 100.

Structural model:
Cell: 9.289 9.289 9.289 Å, 18.14 18.14 18.14°
Element x y z (fractional)
Fe 0.000 0.000 0.000
Au 0.256 0.256 0.256
Au 0.500 0.500 0.500
Au 0.744 0.744 0.744

Principal peaks in the range 5° ≤ 2θ ≤ 70°, by angle:
2θ/deg  I_rel
9.7  14
37.8  100
39.5  26
44.4  61
63.5  22
65.8  16



# 2
Simulated X-ray powder pattern
Compound: Fe3Au
Radiation: Cu Kα
Structure: DFT lattice parameters and positions (GGA-PBE)
Intensities are scaled so that the largest is 100.

Structural model:
Cell: 5.408 5.408 4.316 Å, 90.00 90.00 121.04°
Element x y z (fractional)
Fe 0.151 0.302 0.750
Fe 0.167 0.833 0.750
Fe 0.302 0.151 0.250
Fe 0.698 0.849 0.750
Fe 0.833 0.167 0.250
Fe 0.849 0.698 0.250
Au 0.335 0.665 0.250
Au 0.665 0.335 0.750

Principal peaks in the range 5° ≤ 2θ ≤ 70°, by angle:
2θ/deg  I_rel
28.0  28
28.3  54
38.9  26
41.9  42
43.8  56
44.4  100



# 3
Simulated X-ray powder pattern
Compound: Fe2GeAu2
Radiation: Cu Kα
Structure: DFT lattice parameters and positions (GGA-PBE)
Intensities are scaled so that the largest is 100.

Structural model:
Cell: 6.191 6.191 4.094 Å, 90.00 90.00 90.00°
Element x y z (fractional)
Fe 0.133 0.367 0.000
Fe 0.367 0.867 0.000
Fe 0.633 0.133 0.000
Fe 0.867 0.633 0.000
Ge 0.000 0.000 0.000
Ge 0.500 0.500 0.000
Au 0.163 0.663 0.500
Au 0.337 0.163 0.500
Au 0.663 0.837 0.500
Au 0.837 0.337 0.500

Principal peaks in the range 5° ≤ 2θ ≤ 70°, by angle:
2θ/deg  I_rel
32.3  25
36.4  25
39.3  100
44.2  21
46.4  24
66.0  17



# 4
Simulated X-ray powder pattern
Compound: Hf12Fe6Au
Radiation: Cu Kα
Structure: DFT lattice parameters and positions (GGA-PBE)
Intensities are scaled so that the largest is 100.

Structural model:
Cell: 7.683 7.683 7.683 Å, 109.47 109.47 109.47°
Element x y z (fractional)
Hf 0.099 0.292 0.807
Hf 0.193 0.485 0.292
Hf 0.193 0.901 0.708
Hf 0.292 0.193 0.485
Hf 0.292 0.807 0.099
Hf 0.485 0.292 0.193
Hf 0.515 0.708 0.807
Hf 0.708 0.193 0.901
Hf 0.708 0.807 0.515
Hf 0.807 0.099 0.292
Hf 0.807 0.515 0.708
Hf 0.901 0.708 0.193
Fe 0.123 0.500 0.623
Fe 0.377 0.877 0.500
Fe 0.500 0.377 0.877
Fe 0.500 0.623 0.123
Fe 0.623 0.123 0.500
Fe 0.877 0.500 0.377
Au 0.000 0.000 0.000

Principal peaks in the range 5° ≤ 2θ ≤ 70°, by angle:
2θ/deg  I_rel
31.9  40
35.0  64
37.9  100
40.7  27
60.9  34
64.8  39



# 5
Simulated X-ray powder pattern
Compound: FeHgPt2Au
Radiation: Cu Kα
Structure: DFT lattice parameters and positions (GGA-PBE)
Intensities are scaled so that the largest is 100.

Structural model:
Cell: 5.043 5.043 5.047 Å, 90.00 90.00 90.00°
Element x y z (fractional)
Fe 0.000 0.000 0.000
Hg 0.500 0.500 0.500
Pt 0.000 0.500 0.500
Pt 0.500 0.000 0.500
Au 0.500 0.500 0.000

Principal peaks in the range 5° ≤ 2θ ≤ 70°, by angle:
2θ/deg  I_rel
17.6  87
30.7  54
35.6  100
40.0  47
51.2  72
63.9  25



# 6
Simulated X-ray powder pattern
........

Published laws

The law is published as a Statute also known as an Act. Within the Act is the authority to make Regulations. Regulations are rules to address details and practical applications of the law. Ministerial Orders can also make Regulations, some ministerial orders are published by the Alberta King’s Printer.

A Ministerial Order is created by a Minister under a Statute or Regulation. Ministerial Orders are made for a variety of purposes, including program delivery, creating committees, appointing committee members, setting rates and fees, designating positions and vesting Ministerial authority in others.

Codes and codes of practice are rules that must be followed for those operating under an Act to set safe work or environmental practices.

General decisions of government are made by Orders in Council, they are the instrument by which the Lieutenant Governor in Council makes its orders. These orders may or may not be a Regulation, as defined in the Regulations Act.

The Alberta King’s Printer (known as King's Printer during the reign of a male monarch) has been the official publisher of Alberta’s laws, the Alberta Gazette, the Registrar’s Periodical and official government publications since 1906.

Other assembly roles

Executive Council Office

The Executive Council Office provides support to the Premier and the members of Executive Council. It ensures effective strategic planning and coordinated policy development across government, and engagement of Albertans. The office is led by the Deputy Minister of Executive Council.

_Here the piece breaks off for crystal structures_
/*
Entry 1:
Starting from a DFT-relaxed cell (PBE, Alexandria), the powder X-ray diffraction pattern of Tm4ScBi3 was calculated for Cu Kα.

The 10 most intense peaks (10° ≤ 2θ ≤ 90°), in order of falling intensity:
2θ = 32.6°, rel. 100
2θ = 33.2°, rel. 23
2θ = 59.0°, rel. 15
2θ = 43.3°, rel. 12
2θ = 36.2°, rel. 12
2θ = 55.7°, rel. 11
2θ = 49.9°, rel. 9
2θ = 72.7°, rel. 9
2θ = 68.2°, rel. 8
2θ = 35.7°, rel. 7

Crystal structure
```
Tm4ScBi3
1.0
5.6457 -2.0882 0.0000
5.6457 2.0882 0.0000
-5.1364 0.0000 9.4784
Tm Sc Bi
4 1 3
direct
0.0353 0.0353 0.2637
0.2597 0.2597 0.1286
0.7403 0.7403 0.8714
0.9647 0.9647 0.7363
0.5000 0.5000 0.5000
0.2134 0.2134 0.6267
0.5000 0.5000 0.0000
0.7866 0.7866 0.3733
```



Entry 2:
Starting from a DFT-relaxed cell (PBE, Alexandria), the powder X-ray diffraction pattern of Tm3Sc2Bi2 was calculated for Cu Kα.

The 10 most intense peaks (10° ≤ 2θ ≤ 90°), in order of falling intensity:
2θ = 33.6°, rel. 100
2θ = 31.7°, rel. 87
2θ = 16.6°, rel. 32
2θ = 33.2°, rel. 31
2θ = 36.9°, rel. 30
2θ = 43.0°, rel. 26
2θ = 24.2°, rel. 24
2θ = 32.0°, rel. 19
2θ = 57.9°, rel. 17
2θ = 55.4°, rel. 15

Crystal structure
```
Tm3Sc2Bi2
1.0
5.8368 -2.1045 0.0000
5.8368 2.1045 0.0000
-2.3024 0.0000 7.9332
Tm Sc Bi
3 2 2
direct
0.0000 0.0000 0.0000
0.1263 0.1263 0.4430
0.8737 0.8737 0.5570
0.3870 0.3870 0.2470
0.6130 0.6130 0.7530
0.3138 0.3138 0.8222
0.6862 0.6862 0.1778
```



Entry 3:
Starting from a DFT-relaxed cell (PBE, Alexandria), the powder X-ray diffraction pattern of TmSc3Bi3 was calculated for Cu Kα.

The 10 most intense peaks (10° ≤ 2θ ≤ 90°), in order of falling intensity:
2θ = 25.2°, rel. 100
2θ = 36.1°, rel. 58
2θ = 35.7°, rel. 49
2θ = 32.9°, rel. 27
2θ = 12.7°, rel. 24
2θ = 29.5°, rel. 21
2θ = 44.4°, rel. 19
2θ = 44.2°, rel. 18
2θ = 31.8°, rel. 17
2θ = 37.2°, rel. 16

Crystal structure
```
TmSc3Bi3
1.0
4.3555 2.5146 6.0652
-4.3555 2.5146 6.0652
0.0000 -5.0293 6.0652
Tm Sc Bi
2 6 6
direct
0.1650 0.1650 0.1650
0.8350 0.8350 0.8350
0.1671 0.6806 0.4245
0.3194 0.5755 0.8329
0.4245 0.1671 0.6806
0.5755 0.8329 0.3194
0.6806 0.4245 0.1671
0.8329 0.3194 0.5755
0.0211 0.4135 0.7971
0.2029 0.9789 0.5865
0.4135 0.7971 0.0211
0.5865 0.2029 0.9789
0.7971 0.0211 0.4135
0.9789 0.5865 0.2029
```



Entry 4:
Starting from a DFT-relaxed cell (PBE, Alexandria), the powder X-ray diffraction pattern of Sc2Bi4W was calculated for Cu Kα.

The 10 most intense peaks (10° ≤ 2θ ≤ 90°), in order of falling intensity:
2θ = 32.8°, rel. 100
2θ = 26.2°, rel. 83
2θ = 35.1°, rel. 76
2θ = 48.8°, rel. 56
2θ = 17.4°, rel. 45
2θ = 47.1°, rel. 38
2θ = 24.6°, rel. 36
2θ = 12.2°, rel. 36
2θ = 41.5°, rel. 36
2θ = 50.5°, rel. 31

Crystal structure
```
Sc2Bi4W
1.0
-2.7277 2.7277 7.2289
2.7277 -2.7277 7.2289
2.7277 2.7277 -7.2289
Sc Bi W
2 4 1
direct
0.1063 0.1063 0.0000
0.8937 0.8937 0.0000
0.0000 0.5000 0.5000
0.3038 0.3038 0.0000
0.5000 0.0000 0.5000
0.6962 0.6962 0.0000
0.5000 0.5000 0.0000
```



Entry 5:
*/

The Cabinet

The Cabinet or Executive Council puts government policies into practice. Cabinet ministers are MLAs in charge of specific government ministries. Beyond approving Orders in Council, Cabinet ratifies policy matters and is the final authority on issues related to the day-to-day operation of government. The Premier chairs Cabinet.

The Speaker

The Speaker directs debates and proceedings in the Legislative Assembly. The Speaker is an elected MLA. At the beginning of the first Legislative session after an election, all MLAs vote for the Speaker by secret ballot.

The Opposition

The Opposition is made up of MLAs who aren’t part of the governing party. The role of the Opposition is to critique government activity, propose improvements to legislation, and present itself to the public as an alternative to the party in office. The party with the most opposition seats in the Assembly and is called the Official Opposition.

Members of the Legislative Assembly

Members of the Legislative Assembly (MLAs) are elected by Albertans to make the laws we live by in this province. Each MLA represents a constituency. MLAs selected by the Premier to represent ministries are referred to as cabinet ministers. Those who aren’t in Cabinet are referred to as private members, or caucus members of their particular political party.


Several ministries make up the Alberta government. These departments deliver the programs and services mandated by Alberta’s laws. Each ministry is headed by a deputy minister, a member of the Alberta public service who in turn reports to a minister, an elected official and member of Cabinet.

Public agencies

Public agencies are boards, commissions, tribunals or other organizations established by government, but not part of a government department. They work alongside ministries to deliver programs and services. The Public Agency Secretariat helps ensure Alberta government agencies are well governed.

Government committees

Government committees review policy decisions, long-range strategic priorities, legislation and regulations. These committees include Treasury Board, Legislative Review Committee and others.

Public service

Alberta’s public service is made up of over 25,000 government employees throughout the province. Each works for a ministry, or a public agency. They perform the legal, policy, administrative and practical duties needed to deliver programs and services to Albertans.


  • Elections Alberta is an independent, non-partisan office of the Legislative Assembly responsible for administering provincial elections, by-elections and referenda.